To do >
The reader should print the part of the entries underneath that starts with the line with "Structural model:" and stops after the one with "3.710".

Input >
____________
Diffraction record for Li6Co3NiP6O24. The X-ray powder pattern is calculated, not measured: it uses a crystal structure in Alexandria, relaxed with GGA+U and CuKα.
Lines closer than 0.1° are merged.

Principal peaks in the range 2θ from 5° to 70°, in order of falling intensity:
hkl  2θ (°)  d (Å)  Rel. int.
-1 1 1  20.10  4.417  100
1 -2 0  24.27  3.667  80
1 1 1  32.14  2.785  61
1 0 -1  14.48  6.115  44
2 0 -2  29.21  3.058  43
1 -2 2  24.46  3.640  36
1 -1 1  14.64  6.049  35
2 -2 2  29.53  3.025  27
1 -2 3  32.38  2.765  26
1 -2 1  21.15  4.200  24
0 3 -2  36.91  2.435  21
2 1 0  36.33  2.473  16

Structural model:
```
40
Lattice="8.400 0.000 0.000 -4.145 7.307 0.000 -0.095 -4.836 7.398" Properties=species:S:1:pos:R:3 pbc="T T T"
Li 0.000 0.000 0.000
Li -1.673 3.862 1.416
Li 0.386 -0.296 5.839
Li 1.685 1.925 3.586
Li 4.373 -2.088 5.645
Li 5.662 0.080 3.415
Co -1.114 2.326 4.211
Co 3.028 -0.060 1.428
Co 3.073 4.709 0.413
Ni 7.190 -2.614 5.012
P -2.467 0.397 6.465
P 0.092 -0.474 2.860
P 1.799 -2.802 6.503
P 0.609 4.728 2.706
P 1.227 2.402 6.494
P 4.291 2.591 2.716
O -2.646 3.031 2.969
O -2.298 1.057 5.055
O -0.917 0.722 2.872
O -1.402 -0.690 6.711
O 0.003 -1.246 4.188
O 0.345 -3.250 6.293
O -2.325 6.370 0.096
O 1.529 0.135 2.718
O 2.808 -3.432 5.508
O 0.210 3.263 3.088
O -0.691 5.417 2.245
O 2.248 1.638 0.603
O 0.538 1.654 5.283
O 1.985 -1.264 6.438
O 4.508 -0.122 0.300
O 1.581 4.639 1.510
O 4.152 1.046 2.710
O 5.419 -1.833 3.893
O 2.510 1.611 6.826
O 5.733 -3.456 6.137
O 4.004 3.093 1.235
O 3.262 3.147 3.710
O 4.518 -0.255 6.500
O 4.035 5.964 1.641
```
____________

Result >
Structural model:
```
40
Lattice="8.400 0.000 0.000 -4.145 7.307 0.000 -0.095 -4.836 7.398" Properties=species:S:1:pos:R:3 pbc="T T T"
Li 0.000 0.000 0.000
Li -1.673 3.862 1.416
Li 0.386 -0.296 5.839
Li 1.685 1.925 3.586
Li 4.373 -2.088 5.645
Li 5.662 0.080 3.415
Co -1.114 2.326 4.211
Co 3.028 -0.060 1.428
Co 3.073 4.709 0.413
Ni 7.190 -2.614 5.012
P -2.467 0.397 6.465
P 0.092 -0.474 2.860
P 1.799 -2.802 6.503
P 0.609 4.728 2.706
P 1.227 2.402 6.494
P 4.291 2.591 2.716
O -2.646 3.031 2.969
O -2.298 1.057 5.055
O -0.917 0.722 2.872
O -1.402 -0.690 6.711
O 0.003 -1.246 4.188
O 0.345 -3.250 6.293
O -2.325 6.370 0.096
O 1.529 0.135 2.718
O 2.808 -3.432 5.508
O 0.210 3.263 3.088
O -0.691 5.417 2.245
O 2.248 1.638 0.603
O 0.538 1.654 5.283
O 1.985 -1.264 6.438
O 4.508 -0.122 0.300
O 1.581 4.639 1.510
O 4.152 1.046 2.710
O 5.419 -1.833 3.893
O 2.510 1.611 6.826
O 5.733 -3.456 6.137
O 4.004 3.093 1.235
O 3.262 3.147 3.710